Ted Piccone (@piccone_ted) is a senior fellow in foreign policy at the Brookings Institution.
In 2018, the Trump administration made good on its promises to unwind long-standing U.S. commitments to guarantee global security and prosperity. These moves will further weaken U.S. standing and influence in the world and favor China’s rise as a rival contender for international supremacy.
Since taking office, President Trump consistently has argued for a brand of U.S. leadership in the world that seeks to maximize national sovereignty at the expense of international cooperation. Underscoring each country’s unique history, Trump told the United Nations General Assembly in September that “the United States will not tell you how to live or work or worship. We only ask that you honor our sovereignty in return.”
His current top lieutenants — John Bolton as national security adviser and Mike Pompeo as secretary of state — have promulgated this worldview with gusto. As Bolton declared in denouncing the International Criminal Court, “no committee of foreign nations will tell us how to govern ourselves and defend our freedom.”
Two years into office, the Trump administration has followed through on these proclamations by abandoning international institutions and agreements it believes infringe on national sovereignty. From arms control to migration to postal services, this White House has chosen threats and unilateral withdrawal over principled engagement and negotiation. The effects, intended or otherwise, are coming into focus: growing disappointment and skepticism, even among our friends and allies, regarding U.S. leadership, and an opening for U.S. rivals like China and Russia to fill the vacuum.
Here are five ways the United States retreated from the world stage in 2018.
Iran nuclear deal
Trump was highly critical of President Barack Obama’s successful efforts to control Iran’s nuclear weapons capacity in exchange, upon verification, for some sanctions relief. Despite a powerful pro-deal coalition that included China, Russia and the European Union, the Trump administration moved the goal posts by demanding additional commitments to contain Iran’s hostile actions against its neighbors. After a tepid effort to set new terms, the White House decided to break away from the agreement and reimposed sanctions on Iran starting this past summer. In response, Iran has held steady in fulfilling the terms of the nuclear accord while Europe tries to work around the U.S. sanctions.
U.N. Human Rights Council
The world’s top body for addressing human rights violations in every country is, in the words of Secretary Pompeo, “an exercise in shameless hypocrisy.” While the United States is right to criticize its bias against Israel and its authoritarian members, the council continues to shine a bright light on severe abuses from Myanmar to North Korea. But when the council turned its attention to U.S. failures to uphold universal human rights norms on issues such as treatment of migrants and poverty, Washington cried foul and walked away.
In response, a core group led by countries such as Egypt, Cuba and Saudi Arabia has redoubled efforts to weaken the body’s agenda to scrutinize countries’ human rights records and protect civil society. China, in particular, has begun going on offense to assert its own brand of state-led capitalism as the better path to human rights and development.
Israel-Palestine relations
After 70 years of bipartisan support to Palestinian refugees displaced by conflict with Israel, the Trump administration decided in August to stop funding the U.N. Relief and Works Agency for Palestinian Refugees. It also cut overall aid to the Palestinian Authority and ordered it to close its Washington office. Claiming to carry a disproportionate share of the burden of caring for an expanding number of Palestinian families, Trump’s real intent was to pressure the Palestinians to reach an agreement on peace with Israel. “The United States was paying them tremendous amounts of money. And I say, ‘You’ll get money, but we’re not paying until you make a deal,'” Trump told a group of American Jewish leaders.
Unrelated to this piece: materials data:
┌──
# 1
Density functional theory data (PBE) for a geometry-optimized DyPuScSn structure.

Unit cell a=5.297 b=5.297 c=5.297 alpha=60.00 beta=60.00 gamma=60.00
Each line ends with the local moment (μB).
Fractional positions:
Sc (0.250, 0.250, 0.250)  0.53
Dy (0.000, 0.000, 0.000)  0.29
Sn (0.750, 0.750, 0.750)  -0.04
Pu (0.500, 0.500, 0.500)  5.55

DFT formation energy	-0.15	eV per atom
space group	No. 216

# 2
Density functional theory data (PBE) for a geometry-optimized Dy2Pu3ScTe6 structure.

Unit cell a=4.339 b=8.767 c=9.784 alpha=103.85 beta=102.81 gamma=90.00
Each line ends with the local moment (μB).
Fractional positions:
Dy (0.834, 0.668, 0.669)  -0.03
Dy (0.166, 0.332, 0.331)  -0.03
Pu (0.500, 0.500, 0.000)  -5.60
Pu (0.831, 0.165, 0.661)  -5.58
Pu (0.169, 0.835, 0.339)  -5.58
Sc (0.500, 0.000, 0.000)  -0.07
Te (0.339, 0.917, 0.678)  0.04
Te (0.668, 0.581, 0.336)  0.04
Te (0.661, 0.083, 0.322)  0.04
Te (0.000, 0.237, 0.999)  0.04
Te (0.000, 0.763, 0.001)  0.04
Te (0.332, 0.419, 0.664)  0.04

space group	No. 12
raw formation energy	-1175	meV per atom

# 3
Density functional theory data (PBE) for a geometry-optimized Dy2PuScTe4 structure.

Unit cell a=4.304 b=7.505 c=7.510 alpha=109.11 beta=90.00 gamma=90.00
Each line ends with the local moment (μB).
Fractional positions:
Dy (0.500, 0.000, 0.500)  -0.03
Dy (0.000, 0.500, 0.500)  0.06
Pu (0.500, 0.500, 0.000)  5.55
Sc (0.000, 0.000, 0.000)  0.11
Te (0.500, 0.239, 0.243)  -0.01
Te (0.500, 0.761, 0.757)  -0.01
Te (0.000, 0.243, 0.751)  -0.03
Te (0.000, 0.757, 0.249)  -0.03

space group	No. 10
raw formation energy	-1195	meV per atom

# 4
Density functional theory data (PBE) for a geometry-optimized Dy3PuSc2Te6 structure.

Unit cell a=4.281 b=8.643 c=9.639 alpha=103.20 beta=102.83 gamma=90.00
Each line ends with the local moment (μB).
Fractional positions:
Dy (0.500, 0.500, 0.000)  -0.02
Dy (0.838, 0.169, 0.676)  0.02
Dy (0.162, 0.831, 0.324)  0.02
Pu (0.500, 0.000, 0.000)  5.55
Sc (0.838, 0.677, 0.677)  0.12
Sc (0.162, 0.323, 0.323)  0.12
Te (0.330, 0.908, 0.659)  -0.01
Te (0.672, 0.574, 0.344)  0.00
Te (0.670, 0.092, 0.341)  -0.01
Te (0.004, 0.255, 0.008)  -0.03
Te (0.996, 0.745, 0.992)  -0.03
Te (0.328, 0.426, 0.656)  0.00

space group	No. 12
raw formation energy	-1200	meV per atom

# 5
Density functional theory data (PBE) for a geometry-optimized DyPu2ScTe4 structure.

Unit cell a=4.324 b=7.479 c=7.605 alpha=109.21 beta=90.00 gamma=90.00
Each line ends with the local moment (μB).
Fractional positions:
Dy (0.500, 0.500, 0.000)  -0.03
Pu (0.500, 0.000, 0.500)  -5.57
Pu (0.000, 0.500, 0.500)  -5.62
Sc (0.000, 0.000, 0.000)  -0.09
Te (0.500, 0.239, 0.236)  0.04
Te (0.500, 0.761, 0.764)  0.04
Te (0.000, 0.247, 0.760)  0.04
Te (0.000, 0.753, 0.240)  0.04

space group	No. 10
raw formation energy	-1156	meV per atom

# 6
Density functional theory data (PBE) for a geometry-optimized Dy2Tm6PuSc3 structure.
└──
Efforts to close the gap are falling short: The World Food Programme says it will have to cut food aid next year to nearly 200,000 Palestinians in Gaza and the occupied West Bank due to U.S. budget cuts. Trump further isolated the United States when he went ahead with moving the U.S. Embassy to Jerusalem in May, after all other members of the U.N. Security Council voted to reject the action.
Climate change
As part of an overall rollback of Obama-era provisions aimed at reducing U.S. carbon emissions, President Trump in 2018 made good on his previous announcement to withdraw from the Paris climate agreement, claiming climate change was a hoax promoted by China to hurt our economy. While the actual withdrawal does not take effect until just after the 2020 presidential elections, U.S. officials are quickly rewriting domestic rules to promote fossil fuels in contravention of international commitments. At the recent global session to negotiate a “rulebook” for implementing national commitments, a top U.S. delegate drew protests as he made pronouncements favoring “clean coal” and shale gas. Meanwhile, at the Group of 20 summit in Argentina in November, Trump was the only leader who did not reiterate a commitment to climate action, despite new reports by leading scientists that catastrophic warming will begin to hit in 12 years unless carbon emissions are dramatically cut.
U.S. troop withdrawal from Syria
The latest demonstration of President Trump’s strong instincts to unload the burden of collective security on others (friends and foes) came on Dec. 19, when he declared victory over ISIS terrorists and ordered approximately 2,000 U.S. troops to cease action in Syria immediately and return home. The hasty decision directly contradicted public pronouncements by his most senior advisers that U.S. troops would stay and left close allies like the United Kingdom and France, which also have troops deployed in theater, dismayed and vulnerable. The result was, by most accounts, a win for U.S. rivals Russia and Iran, which now have a stronger hand in the region, as well as for Syria, ISIS and Turkey, and a loss for U.S. allies Israel and Saudi Arabia. The decision has wider negative repercussions for U.S. reliability with its long-standing partners, prompting Secretary of Defense Jim Mattis to resign.
The Trump bluster to shake up the international order in the name of extracting better deals for the United States may yield some new agreements that further narrow national interests. But the costs to U.S. influence are already proving very high. U.S. friends are confused and frustrated with Trump’s disrespect and unpredictability, and rivals are eagerly exploiting the opening to their advantage. The continued rise of Trump transactionalism in the name of “America First” means we may be entering an inexorable slide into geopolitical competition the likes of which we have never seen before.